Copy the block underneath from the first line to the one with "0.3 2.1" with every line break kept.

- - -
# 1
The following is a quantum chemistry calculation of 3 unconnected molecules or ions with the total composition C21H42BN3O10P, from OMol25.

The HOMO-LUMO gap comes out at 7.8001 eV. The multiplicity is 1. Its total charge is +1.

Positions of all 78 atoms, in Å:
P1 -0.69656 2.31891 0.48387
O1 4.89209 -2.13070 -1.54767
O2 0.15109 1.40428 3.11403
O3 3.55035 3.20773 1.07205
O4 2.80611 -2.91030 -2.47540
O5 -7.57587 -2.80871 0.45317
O6 4.23296 1.99083 2.88848
O7 1.85870 0.89749 1.31167
O8 -6.61610 -1.26405 -0.93934
O9 -5.50187 -3.17469 -0.35193
O10 3.54885 4.12062 3.17056
N1 -2.01550 -0.11236 -5.61083
N2 -1.37324 -0.51507 -3.14384
N3 -3.64968 0.52116 -3.87085
C1 2.62472 2.20083 -1.54227
C2 -5.73483 -4.12056 0.68096
C3 -2.15630 1.10865 0.04493
C4 1.01361 2.18745 -1.97734
C5 -2.28985 -0.07255 -4.26481
C6 3.64160 3.52536 4.45620
C7 5.08643 -0.86823 -0.81877
C8 -2.70932 -1.26618 -0.96783
C9 2.81438 -3.02545 0.07295
C10 4.58251 2.38613 4.20282
C11 0.07588 3.16072 -1.04918
C12 4.78817 0.48661 -1.74603
C13 3.15857 0.66179 -1.77681
C14 -1.72955 -0.47539 0.13303
C15 3.54479 -2.68943 -1.35566
C16 -6.57004 -2.31877 -0.33287
C17 3.75780 3.11280 2.26801
C18 -1.93004 -1.67728 -2.35038
C19 4.13646 4.51620 5.49482
C20 -5.10008 -5.46237 0.36154
C21 -7.23247 -4.15260 0.73949
B1 0.55608 1.49120 1.67169
H1 2.31874 0.52031 2.14117
H2 4.93496 4.09567 6.11421
H3 -4.72730 -5.50931 -0.66742
H4 -3.39453 1.35238 -3.25566
H5 -7.60176 -4.44728 1.72538
H6 0.64587 4.18086 -0.80498
H7 2.03202 -3.90102 -0.10708
H8 1.00039 2.60280 -3.09445
H9 3.26584 2.93045 -2.23632
H10 -2.56908 1.40246 -1.02089
H11 3.31786 4.77569 6.17717
H12 -2.59608 -2.42209 -2.99964
H13 2.75310 2.60471 -0.45134
H14 4.43636 1.56405 4.90853
H15 6.24939 -0.79811 -0.55831
H16 -4.13018 -0.13700 -3.20922
H17 -0.62199 -0.68073 -0.24093
H18 2.18260 -2.08435 0.44652
H19 -7.68717 -4.79667 -0.02179
H20 3.57675 -3.31165 0.91589
H21 -2.85240 0.26606 -6.14881
H22 5.38025 1.43083 -1.38974
H23 -1.31582 0.33379 -2.50531
H24 -0.83951 3.49324 -1.73951
H25 2.73281 0.29535 -2.83014
H26 -3.00041 -2.28707 -0.42443
H27 -1.91609 -0.87015 1.23422
H28 2.66694 -0.05731 -0.97896
H29 5.63824 2.68028 4.20750
H30 -0.86060 1.49408 3.08445
H31 2.64113 3.16295 4.72548
H32 0.68037 1.06661 -2.02130
H33 4.48854 5.44933 5.04178
H34 -4.24337 -5.63289 1.02489
H35 4.53075 -0.83092 0.21488
H36 -0.98824 -2.33062 -2.01724
H37 -1.33737 3.39391 1.25409
H38 -3.00940 1.27593 0.85252
H39 -3.73079 -0.69831 -1.12803
H40 -5.30900 -3.71118 1.60609
H41 5.11080 0.17421 -2.85122
H42 -5.79251 -6.29329 0.52946

Force components x, y, z for each atom (eV/Å):
-1.3 1.3 -1.9
-3.6 0.0 1.7
-1.4 0.4 -4.3
0.7 0.1 2.9
5.0 1.2 7.3
0.7 0.8 -0.7
-0.5 0.5 -1.0
-3.4 1.1 2.3
0.3 -2.1 1.2
-0.7 1.0 -0.2
0.0 -0.9 -1.4
-1.2 0.2 5.7
-1.8 1.0 -0.9
2.0 -0.2 1.4
-0.2 -0.3 -0.3
0.4 -1.1 0.2
-0.3 -0.4 0.5
1.5 0.4 -0.7
-0.7 0.4 -4.2
0.2 0.4 1.2
2.3 1.9 0.7
-0.2 -1.4 1.0
0.1 0.3 0.1
0.4 -0.5 0.9
-0.3 0.7 -1.9
-1.1 -1.9 -0.6
-0.4 0.4 -0.4
-0.5 0.0 -1.3
-3.6 -0.4 -6.0
-0.3 1.8 -1.0
-0.2 0.6 -1.7
0.3 -1.3 1.1
-0.4 0.3 0.5
0.6 -0.3 0.3
-0.5 -0.5 0.6
3.6 -2.7 3.7
-1.1 0.9 -1.7
0.0 0.0 -0.2
-0.3 0.1 0.2
-0.6 -1.1 -1.0
-0.1 0.2 -0.2
-1.2 -2.4 -0.1
2.0 1.9 0.2
-0.4 -0.9 2.5
-1.6 -1.6 1.3
0.9 -0.5 2.2
0.2 0.1 -0.2
1.4 2.0 1.3
-0.3 -1.3 -2.5
0.0 0.0 -0.3
-2.5 -0.5 -0.6
0.5 0.7 -0.8
-2.1 0.6 1.1
1.5 -1.9 -1.0
0.2 0.0 0.0
-1.4 0.5 -1.7
1.1 -0.5 1.3
-1.2 -1.9 -0.5
0.0 -1.5 -1.0
1.7 -0.7 1.7
1.0 0.8 2.2
0.5 2.2 -1.4
0.6 0.8 -2.4
0.9 1.6 -1.5
-0.2 0.1 0.1
2.1 -0.1 0.7
0.1 -0.1 -0.1
0.3 2.1 0.2
0.0 -0.3 0.0
-0.1 0.0 -0.2
0.8 -0.2 -2.1
-2.0 1.4 -0.7
0.7 -1.0 -0.6
1.8 -0.1 -1.8
2.1 -1.0 0.3
-0.2 0.0 -0.1
-0.4 0.9 2.5
0.0 0.2 -0.1

=====

# 2
The following is a quantum chemistry calculation of 6 unconnected molecules or ions with the total composition C21H42ClO21P2, from OMol25.

The HOMO-LUMO gap (alpha / beta) comes out at 10.0800 / 3.5195 eV. The multiplicity is 2. Its expectation value of S² is 0.765.

Positions of all 87 atoms, in Å:
Cl1 0.49966 -0.39943 0.07833
- - -

# 1
The following is a quantum chemistry calculation of 3 unconnected molecules or ions with the total composition C21H42BN3O10P, from OMol25.

The HOMO-LUMO gap comes out at 7.8001 eV. The multiplicity is 1. Its total charge is +1.

Positions of all 78 atoms, in Å:
P1 -0.69656 2.31891 0.48387
O1 4.89209 -2.13070 -1.54767
O2 0.15109 1.40428 3.11403
O3 3.55035 3.20773 1.07205
O4 2.80611 -2.91030 -2.47540
O5 -7.57587 -2.80871 0.45317
O6 4.23296 1.99083 2.88848
O7 1.85870 0.89749 1.31167
O8 -6.61610 -1.26405 -0.93934
O9 -5.50187 -3.17469 -0.35193
O10 3.54885 4.12062 3.17056
N1 -2.01550 -0.11236 -5.61083
N2 -1.37324 -0.51507 -3.14384
N3 -3.64968 0.52116 -3.87085
C1 2.62472 2.20083 -1.54227
C2 -5.73483 -4.12056 0.68096
C3 -2.15630 1.10865 0.04493
C4 1.01361 2.18745 -1.97734
C5 -2.28985 -0.07255 -4.26481
C6 3.64160 3.52536 4.45620
C7 5.08643 -0.86823 -0.81877
C8 -2.70932 -1.26618 -0.96783
C9 2.81438 -3.02545 0.07295
C10 4.58251 2.38613 4.20282
C11 0.07588 3.16072 -1.04918
C12 4.78817 0.48661 -1.74603
C13 3.15857 0.66179 -1.77681
C14 -1.72955 -0.47539 0.13303
C15 3.54479 -2.68943 -1.35566
C16 -6.57004 -2.31877 -0.33287
C17 3.75780 3.11280 2.26801
C18 -1.93004 -1.67728 -2.35038
C19 4.13646 4.51620 5.49482
C20 -5.10008 -5.46237 0.36154
C21 -7.23247 -4.15260 0.73949
B1 0.55608 1.49120 1.67169
H1 2.31874 0.52031 2.14117
H2 4.93496 4.09567 6.11421
H3 -4.72730 -5.50931 -0.66742
H4 -3.39453 1.35238 -3.25566
H5 -7.60176 -4.44728 1.72538
H6 0.64587 4.18086 -0.80498
H7 2.03202 -3.90102 -0.10708
H8 1.00039 2.60280 -3.09445
H9 3.26584 2.93045 -2.23632
H10 -2.56908 1.40246 -1.02089
H11 3.31786 4.77569 6.17717
H12 -2.59608 -2.42209 -2.99964
H13 2.75310 2.60471 -0.45134
H14 4.43636 1.56405 4.90853
H15 6.24939 -0.79811 -0.55831
H16 -4.13018 -0.13700 -3.20922
H17 -0.62199 -0.68073 -0.24093
H18 2.18260 -2.08435 0.44652
H19 -7.68717 -4.79667 -0.02179
H20 3.57675 -3.31165 0.91589
H21 -2.85240 0.26606 -6.14881
H22 5.38025 1.43083 -1.38974
H23 -1.31582 0.33379 -2.50531
H24 -0.83951 3.49324 -1.73951
H25 2.73281 0.29535 -2.83014
H26 -3.00041 -2.28707 -0.42443
H27 -1.91609 -0.87015 1.23422
H28 2.66694 -0.05731 -0.97896
H29 5.63824 2.68028 4.20750
H30 -0.86060 1.49408 3.08445
H31 2.64113 3.16295 4.72548
H32 0.68037 1.06661 -2.02130
H33 4.48854 5.44933 5.04178
H34 -4.24337 -5.63289 1.02489
H35 4.53075 -0.83092 0.21488
H36 -0.98824 -2.33062 -2.01724
H37 -1.33737 3.39391 1.25409
H38 -3.00940 1.27593 0.85252
H39 -3.73079 -0.69831 -1.12803
H40 -5.30900 -3.71118 1.60609
H41 5.11080 0.17421 -2.85122
H42 -5.79251 -6.29329 0.52946

Force components x, y, z for each atom (eV/Å):
-1.3 1.3 -1.9
-3.6 0.0 1.7
-1.4 0.4 -4.3
0.7 0.1 2.9
5.0 1.2 7.3
0.7 0.8 -0.7
-0.5 0.5 -1.0
-3.4 1.1 2.3
0.3 -2.1 1.2
-0.7 1.0 -0.2
0.0 -0.9 -1.4
-1.2 0.2 5.7
-1.8 1.0 -0.9
2.0 -0.2 1.4
-0.2 -0.3 -0.3
0.4 -1.1 0.2
-0.3 -0.4 0.5
1.5 0.4 -0.7
-0.7 0.4 -4.2
0.2 0.4 1.2
2.3 1.9 0.7
-0.2 -1.4 1.0
0.1 0.3 0.1
0.4 -0.5 0.9
-0.3 0.7 -1.9
-1.1 -1.9 -0.6
-0.4 0.4 -0.4
-0.5 0.0 -1.3
-3.6 -0.4 -6.0
-0.3 1.8 -1.0
-0.2 0.6 -1.7
0.3 -1.3 1.1
-0.4 0.3 0.5
0.6 -0.3 0.3
-0.5 -0.5 0.6
3.6 -2.7 3.7
-1.1 0.9 -1.7
0.0 0.0 -0.2
-0.3 0.1 0.2
-0.6 -1.1 -1.0
-0.1 0.2 -0.2
-1.2 -2.4 -0.1
2.0 1.9 0.2
-0.4 -0.9 2.5
-1.6 -1.6 1.3
0.9 -0.5 2.2
0.2 0.1 -0.2
1.4 2.0 1.3
-0.3 -1.3 -2.5
0.0 0.0 -0.3
-2.5 -0.5 -0.6
0.5 0.7 -0.8
-2.1 0.6 1.1
1.5 -1.9 -1.0
0.2 0.0 0.0
-1.4 0.5 -1.7
1.1 -0.5 1.3
-1.2 -1.9 -0.5
0.0 -1.5 -1.0
1.7 -0.7 1.7
1.0 0.8 2.2
0.5 2.2 -1.4
0.6 0.8 -2.4
0.9 1.6 -1.5
-0.2 0.1 0.1
2.1 -0.1 0.7
0.1 -0.1 -0.1
0.3 2.1 0.2